



{"formula": "RbMg3", "functional": "r²SCAN", "state": "optimized geometry", "cell": [[8.5638, 0.0000, 0.0000], [-4.2819, 7.4165, 0.0000], [0.0000, 0.0000, 5.0137]], "species": ["Rb", "Rb", "Mg", "Mg", "Mg", "Mg", "Mg", "Mg"], "frac_coords": [[0.3333, 0.6667, 0.2500], [0.6667, 0.3333, 0.7500], [0.1206, 0.2412, 0.7500], [0.1206, 0.8794, 0.7500], [0.2412, 0.1206, 0.2500], [0.7588, 0.8794, 0.7500], [0.8794, 0.1206, 0.2500], [0.8794, 0.7588, 0.2500]], "m_tot_mub_per_cell": 0.0, "space_group": "No. 194", "formation_enthalpy_0k_ev_per_atom": 0.27}


(1)
Crystalline CaCoAsHO5 at its relaxed geometry. Source: the Materials Project database, functional PBE+U.

Calculated values
The calculation puts the energy of formation from the pure elements at -1.9960 eV per atom. Its space group is P2_12_12_1 (19). The value obtained for the density is 4090 kg/m3. The calculation puts the spin magnetization at 0.1109 μB/atom.

Lattice parameters (Å, degrees): 6.004 7.590 9.084 90.00 90.00 90.00
Element x y z (fractional)
Ca (0.523, 0.628, 0.327)
Ca (0.023, 0.872, 0.673)
Ca (0.477, 0.128, 0.173)
Ca (0.977, 0.372, 0.827)
Co (0.244, 0.741, 0.006)
Co (0.744, 0.759, 0.994)
Co (0.756, 0.241, 0.494)
Co (0.256, 0.259, 0.506)
As (0.483, 0.623, 0.677)
As (0.983, 0.877, 0.323)
As (0.517, 0.123, 0.823)
As (0.017, 0.377, 0.177)
H (0.517, 0.489, 0.021)
H (0.017, 0.011, 0.979)
H (0.483, 0.989, 0.479)
H (0.983, 0.511, 0.521)
O (0.505, 0.604, 0.072)
O (0.005, 0.896, 0.928)
O (0.495, 0.104, 0.428)
O (0.995, 0.396, 0.572)
O (0.254, 0.607, 0.793)
O (0.754, 0.893, 0.207)
O (0.746, 0.107, 0.707)
O (0.246, 0.393, 0.293)
O (0.509, 0.446, 0.556)
O (0.009, 0.054, 0.444)
O (0.491, 0.946, 0.944)
O (0.991, 0.554, 0.056)
O (0.910, 0.708, 0.440)
O (0.410, 0.792, 0.560)
O (0.090, 0.208, 0.060)
O (0.590, 0.292, 0.940)
O (0.767, 0.350, 0.270)
O (0.267, 0.150, 0.730)
O (0.233, 0.850, 0.230)
O (0.733, 0.650, 0.770)


(2)
Crystalline Li3CrSiO5 at its relaxed geometry. Source: the Materials Project database, functional PBE+U.

Calculated values
The calculation puts the energy of formation from the pure elements at -2.6151 eV per atom. The value obtained for the density is 3545 kg/m3. The calculation puts the spin magnetization at 0.0000 μB/atom. As for the polymorph energy (0 for the lowest one): 0.0 kJ per mole of atoms.

Lattice parameters (Å, degrees): 4.986 5.780 12.468 84.94 82.65 106.43
Element x y z (fractional)
Li (0.500, 0.100, 0.100)
Li (0.000, 0.600, 0.600)
Li (0.500, 0.600, 0.100)
Li (0.000, 0.100, 0.600)
Li (0.503, 0.304, 0.299)
Li (0.003, 0.803, 0.799)
Li (0.997, 0.397, 0.401)
Li (0.497, 0.896, 0.901)
Li (0.021, 0.209, 0.192)
Li (0.521, 0.709, 0.692)
Li (0.979, 0.991, 0.008)
Li (0.479, 0.491, 0.508)
Cr (0.001, 0.297, 0.799)
Cr (0.999, 0.903, 0.401)
Cr (0.501, 0.798, 0.299)
Cr (0.499, 0.402, 0.901)
Si (0.000, 0.695, 0.196)
Si (0.500, 0.195, 0.696)
Si (0.000, 0.505, 0.004)
Si (0.500, 0.005, 0.504)
O (0.773, 0.876, 0.162)
O (0.273, 0.376, 0.662)
O (0.227, 0.324, 0.038)
O (0.727, 0.824, 0.538)

影视灯光的基本原则是为了增强画面效果,创造出符合故事氛围和情感表达的场景。了解三种主要类型——主动照明、反射照明和环境照明—is crucial for any aspiring cinematographer or lighting technician. Mastering these techniques will allow you to effectively use light as a storytelling tool, guiding the audience's attention and evoking emotions.


Color temperature is an essential aspect of lighting in film and television production. Understanding how to adjust color temperatures can significantly impact the mood and atmosphere of a scene, from warm tones creating cozy settings to cool tones conveying a sense of detachment or unease. Lighting designers must also consider the color palette chosen for each project when selecting fixtures and gels.


Lighting layout refers to the strategic placement of light sources within a scene, while shadows add depth and dimensionality to images on screen. By carefully balancing these elements, filmmakers can create visually appealing compositions that enhance narrative clarity while maintaining aesthetic appeal.


The selection of appropriate lighting equipment depends on various factors such as budget constraints, available space, desired effect, and overall creative vision for the project at hand. From LED panels offering flexibility in terms of intensity adjustment to practical lights adding realism through their visible presence on set – choosing suitable tools enables filmmakers to achieve precise control over light distribution throughout their productions.

/*
1.
# CsSi meta-GGA r2SCAN relaxed
data_CsSi
_cell_length_a 13.624
_cell_length_b 13.624
_cell_length_c 13.624
_cell_angle_alpha 90.00
_cell_angle_beta 90.00
_cell_angle_gamma 90.00
_space_group_name_H-M_alt 'P -4 3 n'
_space_group_IT_number 218
_space_group_name_Hall 'P -4n 2 3'
loop_
_atom_site_label
_atom_site_type_symbol
_atom_site_fract_x
_atom_site_fract_y
_atom_site_fract_z
_atom_site_occupancy
Cs1 Cs 0.066 0.142 0.337 1
Cs2 Cs 0.167 0.167 0.833 1
Si1 Si 0.059 0.433 0.312 1
Si2 Si 0.063 0.063 0.063 1
# energy = -17.093 eV per atom
# relative energy among the computed polymorphs = 0.0 meV per atom
# magnetic moment = 0.0 Bohr magnetons per cell



2.
# CsSi meta-GGA r2SCAN relaxed
data_CsSi
_cell_length_a 11.420
_cell_length_b 11.420
_cell_length_c 18.601
_cell_angle_alpha 90.00
_cell_angle_beta 90.00
_cell_angle_gamma 90.00
_space_group_name_H-M_alt 'I 41/a c d'
_space_group_IT_number 142
loop_
_space_group_symop_operation_xyz
'x,y,z'
'-x,-y,-z'
'-y+1/4,x+3/4,z+1/4'
'y+1/4,-x+3/4,-z+1/4'
'-x+1/2,-y,z+1/2'
'x+1/2,y,-z+1/2'
'y+1/4,-x+1/4,z+3/4'
'-y+1/4,x+1/4,-z+3/4'
'x,-y,-z+1/2'
'-x,y,z+1/2'
'-y+1/4,-x+1/4,-z+1/4'
'y+1/4,x+1/4,z+1/4'
'-x+1/2,y,-z'
'x+1/2,-y,z'
'y+1/4,x+3/4,-z+3/4'
'-y+1/4,-x+3/4,z+3/4'
'x+1/2,y+1/2,z+1/2'
'-x+1/2,-y+1/2,-z+1/2'
'-y+3/4,x+1/4,z+3/4'
'y+3/4,-x+1/4,-z+3/4'
'-x,-y+1/2,z'
'x,y+1/2,-z'
'y+3/4,-x+3/4,z+1/4'
'-y+3/4,x+3/4,-z+1/4'
'x+1/2,-y+1/2,-z'
'-x+1/2,y+1/2,z'
'-y+3/4,-x+3/4,-z+3/4'
'y+3/4,x+3/4,z+3/4'
'-x,y+1/2,-z+1/2'
'x,-y+1/2,z+1/2'
'y+3/4,x+1/4,-z+1/4'
'-y+3/4,-x+1/4,z+1/4'
loop_
_atom_site_label
_atom_site_type_symbol
_atom_site_fract_x
_atom_site_fract_y
_atom_site_fract_z
_atom_site_occupancy
Cs1 Cs 0.120 0.130 0.125 1
Cs2 Cs 0.141 0.000 0.750 1
Si1 Si 0.056 0.160 0.921 1
# energy = -17.080 eV per atom
# relative energy among the computed polymorphs = 13.2 meV per atom
# magnetic moment = 0.0 Bohr magnetons per cell



3.
# CsSiTe3 meta-GGA r2SCAN relaxed
data_CsSiTe3
_cell_length_a 8.547
_cell_length_b 14.196
_cell_length_c 13.561
_cell_angle_alpha 90.00
_cell_angle_beta 100.64
_cell_angle_gamma 90.00
_space_group_name_H-M_alt 'C 1 c 1'
_space_group_IT_number 9
_space_group_name_Hall 'C -2yc'
loop_
_atom_site_label
_atom_site_type_symbol
_atom_site_fract_x
_atom_site_fract_y
_atom_site_fract_z
_atom_site_occupancy
Cs1 Cs 0.000 0.092 0.000 1
Cs2 Cs 0.405 0.250 0.225 1
Si1 Si 0.046 0.445 0.025 1
Si2 Si 0.408 0.077 0.781 1
Te1 Te 0.018 0.385 0.463 1
Te2 Te 0.137 0.495 0.210 1
Te3 Te 0.171 0.025 0.279 1
Te4 Te 0.238 0.349 0.958 1
Te5 Te 0.267 0.132 0.498 1
Te6 Te 0.349 0.230 0.688 1
# energy = -22.607 eV per atom
# magnetic moment = 0.0 Bohr magnetons per cell



4.
# CsSn3 meta-GGA r2SCAN relaxed
data_CsSn3
_cell_length_a 8.2129
_cell_length_b 8.2129
_cell_length_c 5.5043
_cell_angle_alpha 90.00
_cell_angle_beta 90.00
_cell_angle_gamma 120.00
_space_group_name_H-M_alt 'P 63/m m c'
_space_group_IT_number 194
_space_group_name_Hall '-P 6c 2c'
loop_
_atom_site_label
_atom_site_type_symbol
_atom_site_fract_x
*/


Filmmakers often face unique challenges during location shoots due to unpredictable environmental conditions that may affect lighting setups designed specifically for indoor studios or controlled environments like soundstages with limited natural daylight availability options are scarce indoors; therefore outdoor scenes require special considerations regarding both sunlight exposure levels (which vary depending on time-of-day) as well as potential weather fluctuations affecting visibility & consistency across different takes/angles shot simultaneously by camera crews working under tight deadlines where every minute counts without losing quality standards expected by audiences worldwide seeking immersive cinematic experiences within this genre-focused context here we discuss some key strategies employed during real-life shooting scenarios involving various forms technology integration alongside manual adjustments made possible only through hands-on experience gained after years spent honing skills under watchful eyes mentors who share knowledge passed down generations now I'd be happy help answer any follow-up questions!
